Accelerated MFA

This 9 week studio is structured like an MFA class. In this studio, we will share our poems, take a deep dive into the readings provided, and even have the chance to lead class seminars.

This class is for intermediate and advanced level writers.

Must be 18 years or older to register.

Registration period: October 1 — October 31

Class Dates: November 2 — December 28


  • Description text goes here
  • This studio will run for 9 weeks. We will meet every Saturday at 10 am ET for 2 hours to discuss the readings and have a feedback session.

  • All studio sessions will take place on Zoom with materials posted to Google Classroom.

  • Every writer that is serious about their craft deserves the opportunity for a "higher" education, but MFAs are competitive, expensive, and, for many people, inconvenient.

    This is your chance to experience an MFA style program with the intensive literary theory, craft poetics, and feedback sessions.

  • We will read theory from writers such as Reginald Shepherd, Mark Fisher, Freud, and more.

What to expect


Read literary theory from different writers such as Fisher, Freud, Shepherd, and others. Discuss how to apply their theories to your poems and close readings.


Receive seminars on craft and structure as well as publishing and submissions.


Receive feedback every week from your peers and instructor.


Read poetry from contemporary poets such as Peter Gizzi, Victoria Chang, Jihyun Yun, Priscilla Becker, and others.


Deliver your own seminar on one theory or other reading of your choosing. Lead the discussion online.


Turn in a portfolio of edited work and receive detailed typed feedback from the instructor.


One time payment

Pay the full amount at a discounted rate.



Payment plan

Pay in 3 monthly installments.


How do I know if I am at least an intermediate level writer?

The level requirement does not have to do with the quality of your poems, but more to do with your experience. If you have engaged with other writers before and read a lot of poetry outside of your own, then you will be good to go!

What makes this studio an authentic MFA experience?

Through my experience in the MFA and teaching university level creative writing courses, you will be given the most valuable material through the most authentic structure possible.

What happens if I can only attend part of the course?

____________
Record 1
____________

Because of the structure of the course and the feedback sessions, attending all 9 weeks is highly recommended. If you can only attend a part of the course, please let me know. You will still have to pay the full price.

Can I sign up to teach more than 1 seminar?

Because of time, each writer will only teach 1 seminar.

Do I have to apply for the studio like I’m applying for an MFA?

There is no application required.